/*
# 1
# SiCl | the Alexandria database | PBEsol | relaxed
# ΔE_f (raw) = -75 meV/atom
# uncorrected energy = -3.9524 eV per atom
data_SiCl
_chemical_formula_sum 'Si4 Cl4'
_cell_length_a 3.9453
_cell_length_b 10.2742
_cell_length_c 4.9036
_cell_angle_alpha 90.00
_cell_angle_beta 90.00
_cell_angle_gamma 90.00
_space_group_name_H-M_alt 'C m c m'
_space_group_IT_number 63
_space_group_name_Hall '-C 2c 2'
loop_
_atom_site_label
_atom_site_fract_x
_atom_site_fract_y
_atom_site_fract_z
Si1 0.0000 0.0071 0.2500
Cl1 0.0000 0.3797 0.2500

---

# 2
# TmMg2 | the Alexandria database | PBEsol | relaxed
# formation energy from the elements = -0.04 eV/atom
# uncorrected energy = -2.8200 eV per atom
data_TmMg2
_chemical_formula_sum 'Tm1 Mg2'
_cell_length_a 5.1612
_cell_length_b 5.1612
_cell_length_c 3.1948
_cell_angle_alpha 90.00
_cell_angle_beta 90.00
_cell_angle_gamma 120.00
_space_group_name_H-M_alt 'P 6/m m m'
_space_group_IT_number 191
_space_group_name_Hall '-P 6 2'
loop_
_atom_site_label
_atom_site_fract_x
_atom_site_fract_y
_atom_site_fract_z
Tm1 0.0000 0.0000 0.0000
Mg1 0.3333 0.6667 0.5000

---

Repeat the second record exactly.
# TmMg2 | the Alexandria database | PBEsol | relaxed
# formation energy from the elements = -0.04 eV/atom
# uncorrected energy = -2.8200 eV per atom
data_TmMg2
_chemical_formula_sum 'Tm1 Mg2'
_cell_length_a 5.1612
_cell_length_b 5.1612
_cell_length_c 3.1948
_cell_angle_alpha 90.00
_cell_angle_beta 90.00
_cell_angle_gamma 120.00
_space_group_name_H-M_alt 'P 6/m m m'
_space_group_IT_number 191
_space_group_name_Hall '-P 6 2'
loop_
_atom_site_label
_atom_site_fract_x
_atom_site_fract_y
_atom_site_fract_z
Tm1 0.0000 0.0000 0.0000
Mg1 0.3333 0.6667 0.5000

---

Which formula does entry 1 have?
SiCl

---

Repeat the second record exactly.
# TmMg2 | the Alexandria database | PBEsol | relaxed
# formation energy from the elements = -0.04 eV/atom
# uncorrected energy = -2.8200 eV per atom
data_TmMg2
_chemical_formula_sum 'Tm1 Mg2'
_cell_length_a 5.1612
_cell_length_b 5.1612
_cell_length_c 3.1948
_cell_angle_alpha 90.00
_cell_angle_beta 90.00
_cell_angle_gamma 120.00
_space_group_name_H-M_alt 'P 6/m m m'
_space_group_IT_number 191
_space_group_name_Hall '-P 6 2'
loop_
_atom_site_label
_atom_site_fract_x
_atom_site_fract_y
_atom_site_fract_z
Tm1 0.0000 0.0000 0.0000
Mg1 0.3333 0.6667 0.5000

---

What did the second record say?
# TmMg2 | the Alexandria database | PBEsol | relaxed
# formation energy from the elements = -0.04 eV/atom
# uncorrected energy = -2.8200 eV per atom
data_TmMg2
_chemical_formula_sum 'Tm1 Mg2'
_cell_length_a 5.1612
_cell_length_b 5.1612
_cell_length_c 3.1948
_cell_angle_alpha 90.00
_cell_angle_beta 90.00
_cell_angle_gamma 120.00
_space_group_name_H-M_alt 'P 6/m m m'
_space_group_IT_number 191
_space_group_name_Hall '-P 6 2'
loop_
_atom_site_label
_atom_site_fract_x
_atom_site_fract_y
_atom_site_fract_z
Tm1 0.0000 0.0000 0.0000
Mg1 0.3333 0.6667 0.5000

----------

This record from Alexandria describes a relaxed structure of Er3Co6Ge5. The functional is PBE-GGA.

Cell and atoms, written as extended XYZ:
```
28
Lattice="3.916 0.000 0.000 0.000 9.372 0.000 0.000 0.000 11.930" Properties=species:S:1:pos:R:3 pbc="T T T"
Er 0.000 2.371 7.944
Er 1.958 7.001 1.978
Er 1.958 7.001 9.952
Er 0.000 2.316 0.000
Er 1.958 7.056 5.965
Er 0.000 2.371 3.987
Co 0.000 0.048 9.919
Co 1.958 9.324 7.977
Co 1.958 3.786 9.598
Co 1.958 4.659 0.000
Co 0.000 4.713 5.965
Co 0.000 5.586 8.298
Co 0.000 5.586 3.632
Co 1.958 0.108 0.000
Co 0.000 0.048 2.011
Co 1.958 3.786 2.333
Co 0.000 9.264 5.965
Co 1.958 9.324 3.954
Ge 0.000 4.827 10.495
Ge 0.000 7.988 7.996
Ge 0.000 8.188 0.000
Ge 1.958 4.545 7.400
Ge 1.958 1.184 5.965
Ge 0.000 4.827 1.435
Ge 1.958 4.545 4.530
Ge 0.000 7.988 3.934
Ge 1.958 1.384 9.899
Ge 1.958 1.384 2.031
```

Properties
size of the total moment: 0.0 μB/f.u.
DOS(E_F): 16.78 states/eV per cell
total energy: -6.24 eV per atom

----------
*/

Filter the rows earlier on: keep the lines with the word "Er3Co6Ge5".

This record from Alexandria describes a relaxed structure of Er3Co6Ge5. The functional is PBE-GGA.